Request:
Type out only the last part of the rows further down, starting with the line that has "0.2112 0.3889".

Entries:
/*
#A
Material: K2MgFe4P6O16F12
Method: DFT, PBE with a Hubbard U
State: relaxed

The value obtained for the density is 2.8 Mg/m³. The space-group type is P-1 (2).

a = 7.6498 Å, b = 7.7394 Å, c = 10.8171 Å
α = 79.82°, β = 72.47°, γ = 89.94°
Last column: nearest neighbours and their distance in Å.
Atoms (fractional coordinates):
K: 0.2112 0.3889 0.2719  2 F 2.64-2.72, 1 O 2.66
K: 0.7888 0.6111 0.7281  2 F 2.64-2.72, 1 O 2.66
Mg: 0.5000 0.5000 0.5000  4 O 2.09-2.13, 2 F 2.29
Fe: 0.0000 0.5000 0.0000  4 O 2.07-2.21, 2 F 2.15
Fe: 0.3400 0.1672 0.8382  2 F 1.92-2.00, 3 O 1.94-2.06
Fe: 0.5000 0.0000 0.5000  2 F 2.08, 4 O 2.17-2.19
Fe: 0.6600 0.8328 0.1618  2 F 1.92-2.00, 3 O 1.94-2.06
P: 0.0698 0.0920 0.6580  2 O 1.49, 2 F 1.57-1.58
P: 0.2898 0.5935 0.6908  3 O 1.48-1.55
P: 0.3378 0.7658 0.0187  3 O 1.51-1.52, 1 F 1.62
P: 0.6622 0.2342 0.9813  3 O 1.51-1.52, 1 F 1.62
P: 0.7102 0.4065 0.3092  3 O 1.48-1.55
P: 0.9302 0.9080 0.3420  2 O 1.49, 2 F 1.57-1.58
O: 0.1179 0.1426 0.7708  1 P 1.49
O: 0.1389 0.6441 0.7983  1 P 1.48
O: 0.1877 0.6201 0.0654  1 P 1.52
O: 0.2095 0.0422 0.5422  1 P 1.49
O: 0.2845 0.9408 0.9566  1 P 1.51
O: 0.3922 0.4216 0.7044  1 P 1.55
O: 0.4303 0.7737 0.1244  1 P 1.52
O: 0.4439 0.7226 0.5940  1 P 1.54
O: 0.5561 0.2774 0.4060  1 P 1.54
O: 0.5697 0.2263 0.8756  1 P 1.52
O: 0.6078 0.5784 0.2956  1 P 1.55
O: 0.7155 0.0592 0.0434  1 P 1.51
O: 0.7905 0.9578 0.4578  1 P 1.49
O: 0.8123 0.3799 0.9346  1 P 1.52
O: 0.8611 0.3559 0.2017  1 P 1.48
O: 0.8821 0.8574 0.2292  1 P 1.49
F: 0.0399 0.7547 0.3966  1 P 1.58
F: 0.0927 0.0529 0.2850  1 P 1.57
F: 0.1885 0.2946 0.9645  2 Fe 1.92-2.15
F: 0.1930 0.5451 0.5787  1 P 1.69
F: 0.4858 0.0808 0.6764  2 Fe 2.00-2.08
F: 0.4938 0.7046 0.8987  1 P 1.62
F: 0.5062 0.2954 0.1013  1 P 1.62
F: 0.5142 0.9192 0.3236  2 Fe 2.00-2.08
F: 0.8070 0.4549 0.4213  1 P 1.69
F: 0.8115 0.7054 0.0355  2 Fe 1.92-2.15
F: 0.9073 0.9471 0.7150  1 P 1.57
F: 0.9601 0.2453 0.6034  1 P 1.58

***

#B
Material: K2MgFe4P6O16F12
Method: DFT, PBE with a Hubbard U
State: relaxed

The value obtained for the density is 2.8 Mg/m³. The space-group type is P1 (1).

a = 7.4301 Å, b = 7.9777 Å, c = 10.6799 Å
α = 100.48°, β = 109.86°, γ = 91.90°
Last column: nearest neighbours and their distance in Å.
Atoms (fractional coordinates):
K: 0.0000 0.0000 0.0000  2 F 2.71-3.03, 3 O 2.81-2.88
K: 0.4402 0.9251 0.4333  2 F 2.71-2.84, 4 O 2.71-2.90
Mg: 0.6586 0.5136 0.4329  2 F 1.89-2.11, 1 O 2.00
Fe: 0.2450 0.9246 0.7313  2 F 1.96-2.04, 4 O 1.98-2.05
Fe: 0.5710 0.6041 0.8922  2 F 1.95-2.00, 4 O 1.97-2.07
Fe: 0.7596 0.4039 0.1999  2 O 2.02-2.10, 2 F 2.02-2.19
Fe: 0.9033 0.2199 0.5603  2 F 2.07-2.22, 4 O 2.10-2.21
P: 0.1911 0.3241 0.3814  2 O 1.48, 2 F 1.59-1.63
P: 0.3163 0.5246 0.0900  2 O 1.49-1.51, 2 F 1.56-1.57
P: 0.5453 0.9959 0.0406  3 O 1.51-1.53, 1 F 1.61
P: 0.5827 0.2142 0.7271  3 O 1.52-1.53, 1 F 1.60
P: 0.8660 0.6535 0.7139  3 O 1.50-1.52
P: 0.9409 0.8262 0.4184  3 O 1.51-1.54, 1 F 1.60
O: 0.0170 0.8035 0.7579  1 P 1.50
O: 0.0589 0.3991 0.2721  1 P 1.48
O: 0.1380 0.8267 0.5277  1 P 1.53
O: 0.1448 0.2604 0.4893  1 P 1.48
O: 0.3469 0.0036 0.9357  1 P 1.53
O: 0.3611 0.5740 0.9753  1 P 1.49
O: 0.4647 0.0441 0.7075  1 P 1.53
O: 0.4717 0.4932 0.2149  1 P 1.51
O: 0.4975 0.3707 0.7795  1 P 1.52
O: 0.6385 0.2189 0.6034  1 P 1.52
O: 0.6525 0.8467 0.0017  1 P 1.53
O: 0.6761 0.1616 0.0920  1 P 1.51
O: 0.7932 0.6296 0.8252  1 P 1.50
O: 0.8217 0.9664 0.4505  1 P 1.51
O: 0.8230 0.6498 0.3649  1 P 1.54
O: 0.8894 0.4966 0.6182  1 P 1.52
F: 0.0918 0.1201 0.7139  2 Fe 1.96-2.07
F: 0.1623 0.3654 0.0318  1 P 1.56
F: 0.1959 0.6635 0.1389  1 P 1.57
F: 0.2868 0.1802 0.3083  1 P 1.59
F: 0.3836 0.4594 0.4522  1 P 1.63
F: 0.3858 0.7108 0.7525  2 Fe 2.00-2.04
F: 0.4914 0.9564 0.1668  1 P 1.61
F: 0.6731 0.7144 0.5957  1 P 1.71
F: 0.7316 0.2994 0.3693  1 Mg 1.89
F: 0.7474 0.5279 0.0486  2 Fe 1.95-2.02
F: 0.7806 0.2049 0.8471  1 P 1.60
F: 0.9977 0.8618 0.2929  1 P 1.60

***

#B takes first place; second place is 37 meV/atom up.

----------
*/

Written answer:
K: 0.2112 0.3889 0.2719  2 F 2.64-2.72, 1 O 2.66
K: 0.7888 0.6111 0.7281  2 F 2.64-2.72, 1 O 2.66
Mg: 0.5000 0.5000 0.5000  4 O 2.09-2.13, 2 F 2.29
Fe: 0.0000 0.5000 0.0000  4 O 2.07-2.21, 2 F 2.15
Fe: 0.3400 0.1672 0.8382  2 F 1.92-2.00, 3 O 1.94-2.06
Fe: 0.5000 0.0000 0.5000  2 F 2.08, 4 O 2.17-2.19
Fe: 0.6600 0.8328 0.1618  2 F 1.92-2.00, 3 O 1.94-2.06
P: 0.0698 0.0920 0.6580  2 O 1.49, 2 F 1.57-1.58
P: 0.2898 0.5935 0.6908  3 O 1.48-1.55
P: 0.3378 0.7658 0.0187  3 O 1.51-1.52, 1 F 1.62
P: 0.6622 0.2342 0.9813  3 O 1.51-1.52, 1 F 1.62
P: 0.7102 0.4065 0.3092  3 O 1.48-1.55
P: 0.9302 0.9080 0.3420  2 O 1.49, 2 F 1.57-1.58
O: 0.1179 0.1426 0.7708  1 P 1.49
O: 0.1389 0.6441 0.7983  1 P 1.48
O: 0.1877 0.6201 0.0654  1 P 1.52
O: 0.2095 0.0422 0.5422  1 P 1.49
O: 0.2845 0.9408 0.9566  1 P 1.51
O: 0.3922 0.4216 0.7044  1 P 1.55
O: 0.4303 0.7737 0.1244  1 P 1.52
O: 0.4439 0.7226 0.5940  1 P 1.54
O: 0.5561 0.2774 0.4060  1 P 1.54
O: 0.5697 0.2263 0.8756  1 P 1.52
O: 0.6078 0.5784 0.2956  1 P 1.55
O: 0.7155 0.0592 0.0434  1 P 1.51
O: 0.7905 0.9578 0.4578  1 P 1.49
O: 0.8123 0.3799 0.9346  1 P 1.52
O: 0.8611 0.3559 0.2017  1 P 1.48
O: 0.8821 0.8574 0.2292  1 P 1.49
F: 0.0399 0.7547 0.3966  1 P 1.58
F: 0.0927 0.0529 0.2850  1 P 1.57
F: 0.1885 0.2946 0.9645  2 Fe 1.92-2.15
F: 0.1930 0.5451 0.5787  1 P 1.69
F: 0.4858 0.0808 0.6764  2 Fe 2.00-2.08
F: 0.4938 0.7046 0.8987  1 P 1.62
F: 0.5062 0.2954 0.1013  1 P 1.62
F: 0.5142 0.9192 0.3236  2 Fe 2.00-2.08
F: 0.8070 0.4549 0.4213  1 P 1.69
F: 0.8115 0.7054 0.0355  2 Fe 1.92-2.15
F: 0.9073 0.9471 0.7150  1 P 1.57
F: 0.9601 0.2453 0.6034  1 P 1.58

***

#B
Material: K2MgFe4P6O16F12
Method: DFT, PBE with a Hubbard U
State: relaxed

The value obtained for the density is 2.8 Mg/m³. The space-group type is P1 (1).

a = 7.4301 Å, b = 7.9777 Å, c = 10.6799 Å
α = 100.48°, β = 109.86°, γ = 91.90°
Last column: nearest neighbours and their distance in Å.
Atoms (fractional coordinates):
K: 0.0000 0.0000 0.0000  2 F 2.71-3.03, 3 O 2.81-2.88
K: 0.4402 0.9251 0.4333  2 F 2.71-2.84, 4 O 2.71-2.90
Mg: 0.6586 0.5136 0.4329  2 F 1.89-2.11, 1 O 2.00
Fe: 0.2450 0.9246 0.7313  2 F 1.96-2.04, 4 O 1.98-2.05
Fe: 0.5710 0.6041 0.8922  2 F 1.95-2.00, 4 O 1.97-2.07
Fe: 0.7596 0.4039 0.1999  2 O 2.02-2.10, 2 F 2.02-2.19
Fe: 0.9033 0.2199 0.5603  2 F 2.07-2.22, 4 O 2.10-2.21
P: 0.1911 0.3241 0.3814  2 O 1.48, 2 F 1.59-1.63
P: 0.3163 0.5246 0.0900  2 O 1.49-1.51, 2 F 1.56-1.57
P: 0.5453 0.9959 0.0406  3 O 1.51-1.53, 1 F 1.61
P: 0.5827 0.2142 0.7271  3 O 1.52-1.53, 1 F 1.60
P: 0.8660 0.6535 0.7139  3 O 1.50-1.52
P: 0.9409 0.8262 0.4184  3 O 1.51-1.54, 1 F 1.60
O: 0.0170 0.8035 0.7579  1 P 1.50
O: 0.0589 0.3991 0.2721  1 P 1.48
O: 0.1380 0.8267 0.5277  1 P 1.53
O: 0.1448 0.2604 0.4893  1 P 1.48
O: 0.3469 0.0036 0.9357  1 P 1.53
O: 0.3611 0.5740 0.9753  1 P 1.49
O: 0.4647 0.0441 0.7075  1 P 1.53
O: 0.4717 0.4932 0.2149  1 P 1.51
O: 0.4975 0.3707 0.7795  1 P 1.52
O: 0.6385 0.2189 0.6034  1 P 1.52
O: 0.6525 0.8467 0.0017  1 P 1.53
O: 0.6761 0.1616 0.0920  1 P 1.51
O: 0.7932 0.6296 0.8252  1 P 1.50
O: 0.8217 0.9664 0.4505  1 P 1.51
O: 0.8230 0.6498 0.3649  1 P 1.54
O: 0.8894 0.4966 0.6182  1 P 1.52
F: 0.0918 0.1201 0.7139  2 Fe 1.96-2.07
F: 0.1623 0.3654 0.0318  1 P 1.56
F: 0.1959 0.6635 0.1389  1 P 1.57
F: 0.2868 0.1802 0.3083  1 P 1.59
F: 0.3836 0.4594 0.4522  1 P 1.63
F: 0.3858 0.7108 0.7525  2 Fe 2.00-2.04
F: 0.4914 0.9564 0.1668  1 P 1.61
F: 0.6731 0.7144 0.5957  1 P 1.71
F: 0.7316 0.2994 0.3693  1 Mg 1.89
F: 0.7474 0.5279 0.0486  2 Fe 1.95-2.02
F: 0.7806 0.2049 0.8471  1 P 1.60
F: 0.9977 0.8618 0.2929  1 P 1.60

***

#B takes first place; second place is 37 meV/atom up.

----------